Given:
~~~
For RbPbI3O2, a GGA-PBE-relaxed structure gives the theoretical X-ray diffraction stick pattern in this record (Cu Kα (λ = 1.5418 Å)).

The 8 most intense peaks (2θ = 5–70°), most intense first:
d = 9.011 Å, intensity 100, (1 0 1); d = 3.442 Å, intensity 88, (1 0 6); d = 3.327 Å, intensity 58, (2 1 2); d = 3.151 Å, intensity 42, (2 1 3); d = 4.096 Å, intensity 37, (1 1 2); d = 2.467 Å, intensity 32, (0 2 0); d = 2.333 Å, intensity 28, (1 1 8); d = 2.338 Å, intensity 24, (4 0 3)

Cell and atoms:
Unit cell a=9.8782 b=4.9333 c=21.9866 alpha=90.00 beta=90.00 gamma=90.00
Space group Pnma (No. 62)
Unique sites:
Rb 0.1215 0.2500 0.1968 (multiplicity 4)
Pb 0.0466 0.7500 0.4058 (multiplicity 4)
I 0.0926 0.2500 0.7233 (multiplicity 4)
I 0.1619 0.7500 0.5516 (multiplicity 4)
I 0.2457 0.2500 0.3734 (multiplicity 4)
O 0.0168 0.7500 0.0453 (multiplicity 4)
O 0.0553 0.7500 0.0985 (multiplicity 4)

---

For SrPb2I6O7, a GGA-PBE-relaxed structure gives the theoretical X-ray diffraction stick pattern in this record (Cu Kα (λ = 1.5418 Å)).

The 8 most intense peaks (2θ = 5–70°), most intense first:
d = 4.159 Å, intensity 100, (1 0 3); d = 2.846 Å, intensity 71, (4 0 0); d = 2.576 Å, intensity 61, (2 2 4); d = 4.339 Å, intensity 60, (2 0 2); d = 3.652 Å, intensity 60, (3 0 1); d = 3.074 Å, intensity 46, (3 2 1); d = 2.029 Å, intensity 43, (5 0 3); d = 2.349 Å, intensity 33, (4 1 3)

Cell and atoms:
Unit cell a=11.3859 b=11.3859 c=13.4015 alpha=90.00 beta=90.00 gamma=90.00
Space group I4_1/amd (No. 141, origin choice 2)
Unique sites:
Sr 0.0000 0.2500 0.3750 (multiplicity 4)
Pb 0.0000 0.0000 0.0000 (multiplicity 8)
I 0.0000 0.2500 0.0535 (multiplicity 8)
I 0.2024 0.0476 0.3750 (multiplicity 16)
O 0.0000 0.0336 0.3696 (multiplicity 16)
O 0.0000 0.2500 0.1942 (multiplicity 8)
O 0.0000 0.2500 0.8750 (multiplicity 4)

---

For ZnPbI6O24, a GGA-PBE-relaxed structure gives the theoretical X-ray diffraction stick pattern in this record (Cu Kα (λ = 1.5418 Å)).

The 8 most intense peaks (2θ = 5–70°), most intense first:
d = 3.339 Å, intensity 100, (2 0 -2); d = 10.225 Å, intensity 75, (0 0 1); d = 3.017 Å, intensity 63, (1 2 0); d = 3.539 Å, intensity 46, (1 0 -3); d = 6.685 Å, intensity 44, (1 0 -1); d = 3.115 Å, intensity 40, (1 2 -1); d = 4.900 Å, intensity 36, (1 0 1); d = 3.132 Å, intensity 31, (-1 2 1)

Cell and atoms:
Unit cell a=7.0761 b=7.1215 c=10.8756 alpha=95.44 beta=108.81 gamma=92.75
Space group P-1 (No. 2)
Unique sites:
Zn 0.0000 0.0000 0.0000 (multiplicity 1)
Pb 0.0000 0.0000 0.5000 (multiplicity 1)
I 0.1677 0.4589 0.6990 (multiplicity 2)
I 0.3653 0.9388 0.8295 (multiplicity 2)
I 0.4936 0.2611 0.5031 (multiplicity 2)
O 0.0328 0.7148 0.4331 (multiplicity 2)
O 0.0352 0.4291 0.8189 (multiplicity 2)
O 0.0807 0.2926 0.0970 (multiplicity 2)
O 0.1093 0.9136 0.7050 (multiplicity 2)
O 0.1382 0.7948 0.0979 (multiplicity 2)
O 0.2201 0.5106 0.0267 (multiplicity 2)
O 0.2878 0.0335 0.9698 (multiplicity 2)
O 0.3042 0.4369 0.4780 (multiplicity 2)
O 0.3062 0.0478 0.4816 (multiplicity 2)
O 0.3643 0.2988 0.7430 (multiplicity 2)
O 0.3651 0.6906 0.8635 (multiplicity 2)
O 0.4928 0.7693 0.6608 (multiplicity 2)

---

For PdI2O6, a GGA-PBE-relaxed structure gives the theoretical X-ray diffraction stick pattern in this record (Cu Kα (λ = 1.5418 Å)).

The 8 most intense peaks (2θ = 5–70°), most intense first:
d = 3.295 Å, intensity 100, (1 1 3); d = 3.755 Å, intensity 39, (1 1 2); d = 2.973 Å, intensity 17, (2 0 0); d = 3.055 Å, intensity 16, (0 2 1); d = 1.772 Å, intensity 14, (3 1 3); d = 1.901 Å, intensity 12, (1 3 2); d = 1.588 Å, intensity 12, (1 1 9); d = 1.941 Å, intensity 12, (2 0 6)

Cell and atoms:
Unit cell a=5.9458 b=6.2348 c=15.3745 alpha=90.00 beta=90.00 gamma=90.00
Space group Pbca (No. 61)
Unique sites:
Pd 0.0000 0.0000 0.0000 (multiplicity 4)
I 0.0405 0.0950 0.3493 (multiplicity 8)
O 0.1177 0.6716 0.6033 (multiplicity 8)
O 0.1869 0.0040 0.4485 (multiplicity 8)
O 0.2433 0.7345 0.2859 (multiplicity 8)


[1]
~~~

Brief:
It remains to echo the material above word for word.

Response:
For RbPbI3O2, a GGA-PBE-relaxed structure gives the theoretical X-ray diffraction stick pattern in this record (Cu Kα (λ = 1.5418 Å)).

The 8 most intense peaks (2θ = 5–70°), most intense first:
d = 9.011 Å, intensity 100, (1 0 1); d = 3.442 Å, intensity 88, (1 0 6); d = 3.327 Å, intensity 58, (2 1 2); d = 3.151 Å, intensity 42, (2 1 3); d = 4.096 Å, intensity 37, (1 1 2); d = 2.467 Å, intensity 32, (0 2 0); d = 2.333 Å, intensity 28, (1 1 8); d = 2.338 Å, intensity 24, (4 0 3)

Cell and atoms:
Unit cell a=9.8782 b=4.9333 c=21.9866 alpha=90.00 beta=90.00 gamma=90.00
Space group Pnma (No. 62)
Unique sites:
Rb 0.1215 0.2500 0.1968 (multiplicity 4)
Pb 0.0466 0.7500 0.4058 (multiplicity 4)
I 0.0926 0.2500 0.7233 (multiplicity 4)
I 0.1619 0.7500 0.5516 (multiplicity 4)
I 0.2457 0.2500 0.3734 (multiplicity 4)
O 0.0168 0.7500 0.0453 (multiplicity 4)
O 0.0553 0.7500 0.0985 (multiplicity 4)

---

For SrPb2I6O7, a GGA-PBE-relaxed structure gives the theoretical X-ray diffraction stick pattern in this record (Cu Kα (λ = 1.5418 Å)).

The 8 most intense peaks (2θ = 5–70°), most intense first:
d = 4.159 Å, intensity 100, (1 0 3); d = 2.846 Å, intensity 71, (4 0 0); d = 2.576 Å, intensity 61, (2 2 4); d = 4.339 Å, intensity 60, (2 0 2); d = 3.652 Å, intensity 60, (3 0 1); d = 3.074 Å, intensity 46, (3 2 1); d = 2.029 Å, intensity 43, (5 0 3); d = 2.349 Å, intensity 33, (4 1 3)

Cell and atoms:
Unit cell a=11.3859 b=11.3859 c=13.4015 alpha=90.00 beta=90.00 gamma=90.00
Space group I4_1/amd (No. 141, origin choice 2)
Unique sites:
Sr 0.0000 0.2500 0.3750 (multiplicity 4)
Pb 0.0000 0.0000 0.0000 (multiplicity 8)
I 0.0000 0.2500 0.0535 (multiplicity 8)
I 0.2024 0.0476 0.3750 (multiplicity 16)
O 0.0000 0.0336 0.3696 (multiplicity 16)
O 0.0000 0.2500 0.1942 (multiplicity 8)
O 0.0000 0.2500 0.8750 (multiplicity 4)

---

For ZnPbI6O24, a GGA-PBE-relaxed structure gives the theoretical X-ray diffraction stick pattern in this record (Cu Kα (λ = 1.5418 Å)).

The 8 most intense peaks (2θ = 5–70°), most intense first:
d = 3.339 Å, intensity 100, (2 0 -2); d = 10.225 Å, intensity 75, (0 0 1); d = 3.017 Å, intensity 63, (1 2 0); d = 3.539 Å, intensity 46, (1 0 -3); d = 6.685 Å, intensity 44, (1 0 -1); d = 3.115 Å, intensity 40, (1 2 -1); d = 4.900 Å, intensity 36, (1 0 1); d = 3.132 Å, intensity 31, (-1 2 1)

Cell and atoms:
Unit cell a=7.0761 b=7.1215 c=10.8756 alpha=95.44 beta=108.81 gamma=92.75
Space group P-1 (No. 2)
Unique sites:
Zn 0.0000 0.0000 0.0000 (multiplicity 1)
Pb 0.0000 0.0000 0.5000 (multiplicity 1)
I 0.1677 0.4589 0.6990 (multiplicity 2)
I 0.3653 0.9388 0.8295 (multiplicity 2)
I 0.4936 0.2611 0.5031 (multiplicity 2)
O 0.0328 0.7148 0.4331 (multiplicity 2)
O 0.0352 0.4291 0.8189 (multiplicity 2)
O 0.0807 0.2926 0.0970 (multiplicity 2)
O 0.1093 0.9136 0.7050 (multiplicity 2)
O 0.1382 0.7948 0.0979 (multiplicity 2)
O 0.2201 0.5106 0.0267 (multiplicity 2)
O 0.2878 0.0335 0.9698 (multiplicity 2)
O 0.3042 0.4369 0.4780 (multiplicity 2)
O 0.3062 0.0478 0.4816 (multiplicity 2)
O 0.3643 0.2988 0.7430 (multiplicity 2)
O 0.3651 0.6906 0.8635 (multiplicity 2)
O 0.4928 0.7693 0.6608 (multiplicity 2)

---

For PdI2O6, a GGA-PBE-relaxed structure gives the theoretical X-ray diffraction stick pattern in this record (Cu Kα (λ = 1.5418 Å)).

The 8 most intense peaks (2θ = 5–70°), most intense first:
d = 3.295 Å, intensity 100, (1 1 3); d = 3.755 Å, intensity 39, (1 1 2); d = 2.973 Å, intensity 17, (2 0 0); d = 3.055 Å, intensity 16, (0 2 1); d = 1.772 Å, intensity 14, (3 1 3); d = 1.901 Å, intensity 12, (1 3 2); d = 1.588 Å, intensity 12, (1 1 9); d = 1.941 Å, intensity 12, (2 0 6)

Cell and atoms:
Unit cell a=5.9458 b=6.2348 c=15.3745 alpha=90.00 beta=90.00 gamma=90.00
Space group Pbca (No. 61)
Unique sites:
Pd 0.0000 0.0000 0.0000 (multiplicity 4)
I 0.0405 0.0950 0.3493 (multiplicity 8)
O 0.1177 0.6716 0.6033 (multiplicity 8)
O 0.1869 0.0040 0.4485 (multiplicity 8)
O 0.2433 0.7345 0.2859 (multiplicity 8)


[1]